## To do
What is needed: transcribe the lines further below exactly.

## Contents
{"formula": "C3H2FInO2", "method": "ωB97M-V with the def2-TZVPD basis set", "spin_multiplicity": 2, "total_charge": 3, "species": ["In", "F", "O", "O", "C", "C", "C", "H", "H"], "xyz": [[-1.38, 3.45, 0.64], [-0.61, 1.03, -1.39], [0.61, -2.43, -0.79], [-0.71, 1.81, 0.64], [-0.35, 0.89, -0.11], [0.05, -1.35, -0.45], [0.39, -0.27, 0.30], [0.71, -0.36, 1.34], [1.30, -2.77, -0.19]], "lowdin_charge": [1.70, 0.27, 0.39, -0.04, -0.32, 0.31, 0.22, 0.22, 0.26]}


{"formula": "C3H2FLiMnO2", "method": "ωB97M-V with the def2-TZVPD basis set", "spin_multiplicity": 6, "total_charge": 2, "species": ["Mn", "F", "O", "O", "C", "C", "C", "Li", "H", "H"], "xyz": [[-0.79, -1.97, 2.90], [1.48, 1.13, 0.06], [-0.02, -0.62, 0.39], [-0.68, 0.77, 1.87], [0.72, 0.17, -0.43], [-0.20, -0.34, 1.78], [0.58, 0.07, -1.75], [-2.10, 0.69, -0.21], [1.06, 0.80, -2.41], [-0.05, -0.70, -2.19]], "lowdin_charge": [1.53, 0.15, -0.08, 0.04, -0.46, -0.40, 0.14, 0.89, 0.11, 0.09]}


{"formula": "C3H2FLiNaO3", "method": "ωB97M-V with the def2-TZVPD basis set", "spin_multiplicity": 2, "total_charge": 0, "species": ["Na", "F", "O", "O", "O", "C", "C", "C", "Li", "H", "H"], "xyz": [[0.63, -1.84, 1.47], [1.82, 0.58, 0.35], [-2.04, 1.50, 0.93], [-0.30, 0.92, -0.32], [-0.80, -0.25, 1.65], [0.80, -1.18, -0.88], [0.86, 0.23, -0.61], [-1.13, 0.66, 0.89], [-1.47, 2.46, -0.76], [1.73, -1.61, -1.25], [-0.09, -1.47, -1.46]], "lowdin_charge": [0.63, -0.05, -0.06, -0.14, -0.01, -0.13, -0.45, -0.69, 0.84, 0.02, 0.03]}


{"formula": "C3H2FLuO2", "method": "ωB97M-V with the def2-TZVPD basis set", "total_charge": 2, "species": ["Lu", "F", "O", "O", "C", "C", "C", "H", "H"], "xyz": [[-1.67, 1.53, 1.91], [0.38, -1.76, -1.97], [0.36, 0.77, -0.62], [0.37, -0.92, 0.80], [1.45, 0.21, -1.26], [0.01, 0.24, 0.59], [1.46, -1.13, -1.42], [2.39, 0.75, -1.17], [2.36, -1.74, -1.42]], "lowdin_charge": [1.81, 0.17, -0.05, 0.02, 0.09, -0.52, 0.11, 0.18, 0.18]}


{"formula": "C3H2FMnO2", "method": "ωB97M-V with the def2-TZVPD basis set", "spin_multiplicity": 7, "total_charge": 0, "species": ["Mn", "F", "O", "O", "C", "C", "C", "H", "H"], "xyz": [[3.46, 1.25, 0.02], [-3.11, 1.30, -0.52], [0.37, -1.56, -0.18], [2.12, -0.15, 0.19], [-0.39, 0.37, 0.14], [0.94, -0.32, 0.00], [-0.87, -0.87, -0.01], [-1.81, -1.39, -0.18], [-0.72, 1.36, 0.55]], "lowdin_charge": [0.96, -0.83, 0.06, -0.15, 0.06, -0.43, 0.05, 0.15, 0.13]}


{"formula": "C3H2FN3S", "method": "ωB97M-V with the def2-TZVPD basis set", "total_charge": 0, "species": ["S", "F", "N", "N", "N", "C", "C", "C", "H", "H"], "xyz": [[-2.61, 0.04, -0.13], [0.35, 1.93, 0.04], [1.15, -1.29, -0.10], [2.18, 0.51, 0.01], [2.36, -0.77, -0.07], [-1.27, -0.88, 0.27], [0.19, -0.38, 0.09], [0.91, 0.78, 0.05], [-1.32, -2.09, 0.92], [1.08, -2.21, -0.61]], "lowdin_charge": [0.65, 0.16, -0.01, 0.08, 0.02, -0.58, -0.27, -0.41, 0.17, 0.20]}


{"formula": "C3H2FNOS", "method": "ωB97M-V with the def2-TZVPD basis set", "total_charge": 0, "species": ["S", "F", "O", "N", "C", "C", "C", "H", "H"], "xyz": [[-1.35, 1.05, -0.01], [-1.63, 0.14, 1.38], [-1.55, 0.26, -1.18], [0.30, -1.32, -0.28], [1.08, -0.26, 0.12], [0.42, 0.90, 0.20], [-0.37, -2.04, -0.92], [2.15, -0.53, 0.27], [0.96, 1.81, 0.42]], "lowdin_charge": [0.97, -0.35, -0.46, -0.08, -0.16, -0.23, 0.10, 0.14, 0.07]}


{"formula": "C3H2FNOS", "method": "ωB97M-V with the def2-TZVPD basis set", "smiles": "Fc1ncoc1S", "total_charge": 0, "species": ["S", "F", "O", "N", "C", "C", "C", "H", "H"], "xyz": [[-0.55, 0.26, -2.31], [-1.08, -1.85, 0.58], [0.82, 1.01, -0.20], [0.43, -0.40, 1.51], [1.01, 0.72, 1.12], [-0.24, -0.79, 0.41], [0.01, 0.00, -0.66], [-1.94, -0.42, -2.08], [1.54, 1.47, 1.63]], "lowdin_charge": [0.77, 0.07, -0.01, 0.17, -0.14, -0.35, -0.64, 0.01, 0.12]}

## Solution
{"formula": "C3H2FInO2", "method": "ωB97M-V with the def2-TZVPD basis set", "spin_multiplicity": 2, "total_charge": 3, "species": ["In", "F", "O", "O", "C", "C", "C", "H", "H"], "xyz": [[-1.38, 3.45, 0.64], [-0.61, 1.03, -1.39], [0.61, -2.43, -0.79], [-0.71, 1.81, 0.64], [-0.35, 0.89, -0.11], [0.05, -1.35, -0.45], [0.39, -0.27, 0.30], [0.71, -0.36, 1.34], [1.30, -2.77, -0.19]], "lowdin_charge": [1.70, 0.27, 0.39, -0.04, -0.32, 0.31, 0.22, 0.22, 0.26]}


{"formula": "C3H2FLiMnO2", "method": "ωB97M-V with the def2-TZVPD basis set", "spin_multiplicity": 6, "total_charge": 2, "species": ["Mn", "F", "O", "O", "C", "C", "C", "Li", "H", "H"], "xyz": [[-0.79, -1.97, 2.90], [1.48, 1.13, 0.06], [-0.02, -0.62, 0.39], [-0.68, 0.77, 1.87], [0.72, 0.17, -0.43], [-0.20, -0.34, 1.78], [0.58, 0.07, -1.75], [-2.10, 0.69, -0.21], [1.06, 0.80, -2.41], [-0.05, -0.70, -2.19]], "lowdin_charge": [1.53, 0.15, -0.08, 0.04, -0.46, -0.40, 0.14, 0.89, 0.11, 0.09]}


{"formula": "C3H2FLiNaO3", "method": "ωB97M-V with the def2-TZVPD basis set", "spin_multiplicity": 2, "total_charge": 0, "species": ["Na", "F", "O", "O", "O", "C", "C", "C", "Li", "H", "H"], "xyz": [[0.63, -1.84, 1.47], [1.82, 0.58, 0.35], [-2.04, 1.50, 0.93], [-0.30, 0.92, -0.32], [-0.80, -0.25, 1.65], [0.80, -1.18, -0.88], [0.86, 0.23, -0.61], [-1.13, 0.66, 0.89], [-1.47, 2.46, -0.76], [1.73, -1.61, -1.25], [-0.09, -1.47, -1.46]], "lowdin_charge": [0.63, -0.05, -0.06, -0.14, -0.01, -0.13, -0.45, -0.69, 0.84, 0.02, 0.03]}


{"formula": "C3H2FLuO2", "method": "ωB97M-V with the def2-TZVPD basis set", "total_charge": 2, "species": ["Lu", "F", "O", "O", "C", "C", "C", "H", "H"], "xyz": [[-1.67, 1.53, 1.91], [0.38, -1.76, -1.97], [0.36, 0.77, -0.62], [0.37, -0.92, 0.80], [1.45, 0.21, -1.26], [0.01, 0.24, 0.59], [1.46, -1.13, -1.42], [2.39, 0.75, -1.17], [2.36, -1.74, -1.42]], "lowdin_charge": [1.81, 0.17, -0.05, 0.02, 0.09, -0.52, 0.11, 0.18, 0.18]}


{"formula": "C3H2FMnO2", "method": "ωB97M-V with the def2-TZVPD basis set", "spin_multiplicity": 7, "total_charge": 0, "species": ["Mn", "F", "O", "O", "C", "C", "C", "H", "H"], "xyz": [[3.46, 1.25, 0.02], [-3.11, 1.30, -0.52], [0.37, -1.56, -0.18], [2.12, -0.15, 0.19], [-0.39, 0.37, 0.14], [0.94, -0.32, 0.00], [-0.87, -0.87, -0.01], [-1.81, -1.39, -0.18], [-0.72, 1.36, 0.55]], "lowdin_charge": [0.96, -0.83, 0.06, -0.15, 0.06, -0.43, 0.05, 0.15, 0.13]}


{"formula": "C3H2FN3S", "method": "ωB97M-V with the def2-TZVPD basis set", "total_charge": 0, "species": ["S", "F", "N", "N", "N", "C", "C", "C", "H", "H"], "xyz": [[-2.61, 0.04, -0.13], [0.35, 1.93, 0.04], [1.15, -1.29, -0.10], [2.18, 0.51, 0.01], [2.36, -0.77, -0.07], [-1.27, -0.88, 0.27], [0.19, -0.38, 0.09], [0.91, 0.78, 0.05], [-1.32, -2.09, 0.92], [1.08, -2.21, -0.61]], "lowdin_charge": [0.65, 0.16, -0.01, 0.08, 0.02, -0.58, -0.27, -0.41, 0.17, 0.20]}


{"formula": "C3H2FNOS", "method": "ωB97M-V with the def2-TZVPD basis set", "total_charge": 0, "species": ["S", "F", "O", "N", "C", "C", "C", "H", "H"], "xyz": [[-1.35, 1.05, -0.01], [-1.63, 0.14, 1.38], [-1.55, 0.26, -1.18], [0.30, -1.32, -0.28], [1.08, -0.26, 0.12], [0.42, 0.90, 0.20], [-0.37, -2.04, -0.92], [2.15, -0.53, 0.27], [0.96, 1.81, 0.42]], "lowdin_charge": [0.97, -0.35, -0.46, -0.08, -0.16, -0.23, 0.10, 0.14, 0.07]}


{"formula": "C3H2FNOS", "method": "ωB97M-V with the def2-TZVPD basis set", "smiles": "Fc1ncoc1S", "total_charge": 0, "species": ["S", "F", "O", "N", "C", "C", "C", "H", "H"], "xyz": [[-0.55, 0.26, -2.31], [-1.08, -1.85, 0.58], [0.82, 1.01, -0.20], [0.43, -0.40, 1.51], [1.01, 0.72, 1.12], [-0.24, -0.79, 0.41], [0.01, 0.00, -0.66], [-1.94, -0.42, -2.08], [1.54, 1.47, 1.63]], "lowdin_charge": [0.77, 0.07, -0.01, 0.17, -0.14, -0.35, -0.64, 0.01, 0.12]}